Friday, March 27, 2015

Hillview's Easter Service (2015)

Date for Entry: (Friday 27th March, 2015)

Actual Date of Online Entry: (Wednesday 23rd June, 2021)

Dear Diary,

    This morning was another Easter Service with the same old hymns and same old songs. However, it was much different as before because, at the Service, I was the only Form 5 Student who attended. I felt like I made the right choice by going. I wondered if I was supposed to be in school. There was a new Spanish teacher that sat with me. She was one of the many teachers that stood at the Staffroom windows and watched me do my performance for my Music Paper 3: School-Based Assessment (SBA).

    While singing “Joyful, Joyful, We Adore Thee” the organist and his other accompanist which were the students and Mr. Bedase wasn’t ready to play so Reverend Adrian started us off. Two big things happened in that one song. The Reverend started to sing us and then in the program, they missed out two lines and the students in the congregation had stopped. We did the song over with the organist this time.   

**The piece is interrupted by materials data:**
____________
Record 1
A plane-wave DFT calculation with GGA-PBE was carried out for a relaxed structure of NbPb2Se2ClO8.

abc: 8.758 5.504 10.998
angles: 90.00 112.28 90.00
Space group P2_1 (No. 4)
Asymmetric unit:
Nb1 0.159 0.000 0.068
Pb1 0.192 0.994 0.483
Pb2 0.315 0.450 0.796
Se1 0.016 0.006 0.727
Se2 0.383 0.501 0.202
Cl1 0.361 0.521 0.548
O1 0.031 0.306 0.036
O2 0.061 0.231 0.631
O3 0.079 0.753 0.664
O4 0.173 0.940 0.233
O5 0.181 0.071 0.871
O6 0.325 0.715 0.071
O7 0.376 0.230 0.116
O8 0.411 0.053 0.734

## Properties
energy of formation from the pure elements	-1.81	eV per atom
E_tot	-0.2252	Ha/atom

---

Record 2
A plane-wave DFT calculation with GGA-PBE was carried out for a relaxed structure of Ca3Pd2.

abc: 9.0117 9.0117 16.9077
angles: 90.00 90.00 120.00
Space group R-3 (No. 148, hexagonal axes)
Asymmetric unit:
Ca1 0.0000 0.0000 0.0000
Ca2 0.0000 0.0000 0.2056
Ca3 0.0143 0.2612 0.5932
Pd1 0.0221 0.6088 0.5666

## Properties
energy of formation from the pure elements	-0.64	eV per atom
E_tot	-0.1439	Ha/atom

---

Record 3
A plane-wave DFT calculation with GGA-PBE was carried out for a relaxed structure of Er2TiO5.

abc: 11.633 5.267 7.524
angles: 90.00 113.74 90.00
Space group Cc (No. 9)
Asymmetric unit:
Er1 0.000 0.008 0.000
Er2 0.223 0.491 0.497
Ti1 0.361 0.005 0.257
O1 0.031 0.355 0.389
O2 0.191 0.145 0.109
O3 0.290 0.319 0.792
O4 0.361 0.170 0.495
O5 0.433 0.319 0.205

## Properties
energy of formation from the pure elements	-3.81	eV per atom
E_tot	-0.3163	Ha/atom
relative energy among the computed polymorphs	0.0858	eV per atom

---

Record 4
A plane-wave DFT calculation with GGA-PBE was carried out for a relaxed structure of Li2CuP.

abc: 4.0165 4.0165 7.3868
angles: 90.00 90.00 120.00
Space group P-3m1 (No. 164)
Asymmetric unit:
Li1 0.3333 0.6667 0.0905
Li2 0.3333 0.6667 0.4055
Cu1 0.0000 0.0000 0.2446
P1 0.3333 0.6667 0.7484

## Properties
energy of formation from the pure elements	-0.54	eV per atom
E_tot	-0.1425	Ha/atom

----------

Density functional theory data (PBE-GGA) for a relaxed structure of ReH6CN3O4. Values from VASP.

Quantum ESPRESSO input file:
```
&SYSTEM
  ibrav = 0, nat = 30, ntyp = 5
/
ATOMIC_SPECIES
N 14.01 N.upf
H 1.01 H.upf
Re 186.21 Re.upf
O 16.00 O.upf
C 12.01 C.upf
ATOMIC_POSITIONS angstrom
N 4.015 -4.276 -2.581
N 7.199 0.598 0.069
N 5.846 0.027 1.877
N 1.926 -5.209 -2.951
N 2.662 -4.847 -0.774
N 7.935 0.961 2.246
H 5.171 -0.421 1.263
H 6.440 0.403 -0.579
H 4.690 -3.828 -1.967
H 7.783 0.870 3.249
H 4.099 -4.117 -3.581
H 8.011 1.105 -0.279
H 2.077 -5.119 -3.954
H 1.269 -2.569 0.571
H 3.421 -4.651 -0.125
H 1.849 -5.354 -0.426
H 5.761 -0.131 2.876
H 8.592 -1.680 -1.275
Re 6.138 -1.102 -3.476
Re 3.723 -3.147 2.772
O 7.749 -2.598 0.826
O 5.422 -4.160 0.111
O 3.354 -2.017 1.485
O 1.884 0.523 0.348
O 2.111 -1.651 -1.530
O 4.439 -0.089 -0.815
O 7.976 -4.771 -1.052
O 6.507 -2.232 -2.189
C 6.991 0.529 1.391
C 2.870 -4.778 -2.095
CELL_PARAMETERS angstrom
1.018 -3.096 3.864
1.277 -5.019 -5.918
7.566 3.866 1.349
```
____________
**End of the materials data:**

    I felt curious and a bit sad at the end of the Service because at the conclusion, the Principle had asked the Steel Ensemble to come up to play the National Anthem and the College Song. And it was only me so I didn’t go. I stood there like all of the others. And I could have really impressed my new Form 3 friends that I made during the Test Time that had just passed. So they got a student who played the Tenor pan for the same Service to play the National Anthem. 

    Even now I still regret not going up and if Miss Abbey from the television show “Dance Moms” were there with me she would have been somewhat disappointed but I knew she would have said, “That's what you get for not going and taking the opportunity when it knocks at your doors.” 

    I wanted to see if they were prepared for when all the Steel Ensemble members got promoted to Form 6 and some leave how they would handle it. And after that, I went to pack my classroom and neaten up the classroom and pull all of the desks and chairs together. I saw Miss Khan come but she left me there and didn’t say anything much. I wondered what her problem was as though I didn't ask.



  1. Hillview Easter Service - Program.

Daryl Zion M. Ali

Wednesday, March 25, 2015

Music Room

Date for Entry: (Unknown/Forgotten)

[March 2015: Form 5 West] 

Actual Date of Online Entry: (Wednesday 23rd June, 2021)

Dear Diary,

    Today my Music Room had been built and completed. The process of making it was very, very long and exciting. The person who made it, I think it was Mr. Mohammed, did it very well and the furniture that mom had made it look nice. I didn’t get the stairs how I imagined them to be but it was acceptable by force. I even got a long shelf on the top near the ceiling to put my music books and other things. 


Daryl Zion M. Ali

Monday, March 9, 2015

CXC Music SBA (Paper 3; Part 2) Perf Exam [Part A (i-ii) & B]

Date for Entry: (Monday 9th March, 2015)

Actual Date of Online Entry: (Wednesday 23rd June, 2021)


Dear Diary,

    Today Miss Graham came back to Hillview College to examine me for the SBA (Paper 3) for the analysis of the eight commercials [Part 1] and the two types of performances which would include a solo [Part 2 (A; i-ii)] and an Ensemble piece [Part 2 B]. The worry I had was to be in part of the Ensemble piece. It was only Monday we had started and that was that so I didn’t know what type of miracle had to happen. 

    At the end of playing my solo performance, Ms. Graham gave me permission to leave the stage and to go and find my friend for the Ensemble performance. At the front, we were all in a short problem because they didn’t know the song I gave them and then Ifeaye and my other old friend Christian helped me to play in the Ensemble. 

    Ms. Graham told me and my friends that I could not play the piece of music I planned to do because it was not fully my official work. So, she allowed my friends and me to play one we did from the Steel Ensemble. This was where we choose “Hero”. There were some sudden crescendos and abrupt parts I had to playmaking me feel worried. However, it was mistakes made I was able to cover it up. 

    Then I had to do over a second solo piece because that first one was not my work also. I decided to play “Besame Mucho” because it was a little sophisticated song, carrying so many rhythms and the use of triplets might have been the only complex piece we did in the ensemble. I felt that it could also earn me some high marks. I was then asked to play the scale and arpeggio used for the piece. 

    After doing the scale and arpeggio, Ms. Graham told me that she was so "touched by what you played" and she made sure to mention how well the arpeggios were done. I was like, “Yes! Thank you, Jesus!” It seemed as if she was trying to find a way to describe the way the arpeggios were played to Miss Saunders but did find the word.

    After I took a chair from up on the stage and sat by the table with Ms. Graham, Ms. Saunders and I asked her for tips about my Set Works in Paper 1. Unfortunately, she didn’t know about that either. So, I didn’t know how I was going to get the information to study for the part of the examination. Mr. Lewis was also not going to help me which I had a strong feeling about from the very beginning and there wasn’t anyone else to ask for help. I mostly had to use the CXC music syllabus as I was doing all this time.

    Ms. Graham gave me a form to fill out concerning the paper 1 examination. It was to do with how many songs I had in my "folder" and also how much I had to play. They didn’t tell me what was my student’s number or what the number of the registration was but I knew my school centre number was 160023. Ms. Graham signed it and then gave the form back to me to sign. Both she and Ms. Saunders look at the paper when I was about to sign. I looked at them and laughed out when I saw their curious faces to see how I would have signed. After Ms. Saunders signed the form Ms. Graham took the paper and then said, “Oh Shery-Ann, you could do much better than this.” It was about my signature and I still loved it, lolz. 

    As she was leaving, I gave Ms. Graham the SBA with the CD inside and the Performance booklet I had made and had bound to give her. She didn’t know that it was a present. I decided to give her it as a personal gift because at first, I thought that it was something to submit with the examiner. Then I gave Ms. Saunders a copy also. I had my copies of the SBA, Performance booklet and the CXC Music syllabus. 

    Ms. Saunders was asking how much the cost for all the copies was because she so appreciated how I had gone and bonded her CXC syllabus for her. As for me, I didn’t like having a book to be so unprotected. I have this very big obsession for books and I certainly could not have given her back syllabus copy in a way that it could have been damaged easily. 

    On walking to the Auditorium with my heavy bags and my book stand in my green cloth bag, I held out a bag with two small boxes of cheesecake and two forks. She told me that she had to go and pick up her niece and then I told her I had planned to sit down and eat a cheesecake with her after the exam. I let her go and I took home the cheesecake and stored it in the fridge for the next day. 

    Another day was over and finished successfully. I still cannot imagine the morning I had today to get copies of the work I had made of today’s examination as presents for some of my teacher’s. I had to miss the whole morning sessions of classes to get the SBA printed and put together the CD for it and then run to the stationary store with it to get them spiral bound. All in the end it was worth it and I am grateful for the happy ending.

Daryl Zion M. Ali